Face and Number Plate blur.

### Records of crystals, kept here for reference
-- begin --
Entry 1:
# UPa2Sn | Alexandria | GGA-PBE | relaxed
# Density of states at the Fermi level   5.37 states/eV/f.u.
# Distance to the lowest polymorph of the same formula   0.2973 eV/atom
# Total moment   0.000 μB/cell
data_UPa2Sn
_cell_length_a 3.7140
_cell_length_b 3.7140
_cell_length_c 24.5314
_cell_angle_alpha 90.00
_cell_angle_beta 90.00
_cell_angle_gamma 120.00
_space_group_name_H-M_alt 'R -3 m'
_space_group_IT_number 166
_space_group_name_Hall '-R 3 2"'
loop_
_atom_site_label
_atom_site_type_symbol
_atom_site_fract_x
_atom_site_fract_y
_atom_site_fract_z
U1 U 0.0000 0.0000 0.0000
Pa1 Pa 0.0000 0.0000 0.2662
Sn1 Sn 0.0000 0.0000 0.5000

Entry 2:
# U4PaSn | Alexandria | GGA-PBE | relaxed
# Density of states at the Fermi level   17.05 states/eV/f.u.
# Raw total energy   -231.04 eV per cell
# Total moment   13.724 μB/cell
data_U4PaSn
_cell_length_a 8.119
_cell_length_b 8.119
_cell_length_c 8.119
_cell_angle_alpha 90.00
_cell_angle_beta 90.00
_cell_angle_gamma 90.00
_space_group_name_H-M_alt 'F -4 3 m'
_space_group_IT_number 216
_space_group_name_Hall 'F -4 2 3'
loop_
_atom_site_label
_atom_site_type_symbol
_atom_site_fract_x
_atom_site_fract_y
_atom_site_fract_z
U1 U 0.123 0.123 0.377
Pa1 Pa 0.000 0.000 0.000
Sn1 Sn 0.250 0.250 0.750

Entry 3:
# UPaSn2 | Alexandria | GGA-PBE | relaxed
# Density of states at the Fermi level   9.85 states/eV/f.u.
# Distance to the lowest polymorph of the same formula   0.0000 eV/atom
# Total moment   3.739 μB/cell
data_UPaSn2
_cell_length_a 3.328
_cell_length_b 3.328
_cell_length_c 9.186
_cell_angle_alpha 90.00
_cell_angle_beta 90.00
_cell_angle_gamma 90.00
_space_group_name_H-M_alt 'P 4/m m m'
_space_group_IT_number 123
_space_group_name_Hall '-P 4 2'
loop_
_atom_site_label
_atom_site_type_symbol
_atom_site_fract_x
_atom_site_fract_y
_atom_site_fract_z
U1 U 0.000 0.000 0.000
Pa1 Pa 0.000 0.000 0.500
Sn1 Sn 0.500 0.500 0.250

What is the formula in the third record? UPaSn2

What is the total moment in the first record? 0.000 μB/cell

Look up the density of states at the Fermi level of the third one. 9.85 states/eV/f.u.

* * * * *

# ZnHgRu

Crystalline ZnHgRu at its relaxed geometry (PBE-GGA, the Alexandria database).

Output
Total magnetization ... 0.06 μB/atom
Formation energy ... 0.311 eV/atom
Energy relative to the lowest polymorph listed for this composition ... 0 meV/atom

abc: 5.553 5.553 5.553
angles: 147.32 147.32 46.89
Fractional coordinates of all 3 atoms:
Zn1 0.000 0.000 0.000
Hg1 0.686 0.686 0.000
Ru1 0.370 0.370 0.000

=====

# ErSnC

Crystalline ErSnC at its relaxed geometry (PBE-GGA, the Alexandria database).

Output
Total magnetization ... 0.00 μB/atom
Formation energy ... 0.092 eV/atom
Energy relative to the lowest polymorph listed for this composition ... 0 meV/atom

abc: 3.631 3.631 5.116
angles: 90.00 90.00 120.00
Fractional coordinates of all 3 atoms:
Er1 0.000 0.000 0.000
Sn1 0.667 0.333 0.522
C1 0.333 0.667 0.800

=====

# CaLaErIn
-- stop --

Certainly, let’s create a description for the project where you applied deep learning to perform face and license plate blurring on the collected dataset.

Project Description:

In our relentless pursuit of data privacy and ethical data usage, we embarked on a crucial project where advanced deep learning techniques were employed to address the sensitive aspects of the dataset we collected. This project involved the automated blurring of both human faces and license plates within the dataset. By harnessing the capabilities of deep neural networks, we sought to strike a balance between the necessity of utilizing the data for innovation and the imperative of safeguarding individual identities and personal information. This project not only exemplifies our commitment to data ethics but also signifies our dedication to responsible AI development.

Significance of the Task:

  1. Privacy Preservation: The blurring of faces and license plates in the dataset aligns with the paramount concern of respecting individuals’ privacy. In the context of autonomous systems and computer vision, the data collected might inadvertently capture sensitive information, and this project was instrumental in mitigating those concerns.

  2. Ethical Data Usage: As responsible stewards of data, we recognize the importance of ensuring that the use of data remains ethical and respectful of privacy regulations and individual rights. This project reinforces our commitment to these principles.

Deep Learning Approach:

The project utilized state-of-the-art deep learning models to automate the blurring process. These models were trained on a diverse dataset, learning to identify and precisely locate human faces and license plates within images. Once identified, the deep learning models applied blurring filters to conceal these regions, making them unrecognizable while preserving the integrity of the rest of the data.

Data Transformation and Enhancement:

[Calculated crystals, as found in the file]
- - -
The following is a GGA-PBE calculation of an optimized crystal structure of La4Sm6Th, from Alexandria via LeMat-Bulk.

a b c (Å): 5.9716 5.7406 26.2107
angles (deg): 90.00 90.00 121.34
Positions (direct):
La1 0.8499 0.6999 0.5447
La2 0.4471 0.8943 0.1226
La3 0.1501 0.3001 0.4553
La4 0.5529 0.1057 0.8774
La5 0.8499 0.6999 0.9553
La6 0.1501 0.3001 0.0447
La7 0.5529 0.1057 0.6226
La8 0.4471 0.8943 0.3774
Sm1 0.5000 0.0000 0.0000
Sm2 0.5000 0.0000 0.5000
Sm3 0.1159 0.2318 0.3157
Sm4 0.8841 0.7682 0.6843
Sm5 0.8841 0.7682 0.8157
Sm6 0.1159 0.2318 0.1843
Sm7 0.7987 0.5974 0.3954
Sm8 0.2013 0.4026 0.6046
Sm9 0.2013 0.4026 0.8954
Sm10 0.7987 0.5974 0.1046
Sm11 0.4429 0.8859 0.2500
Sm12 0.5571 0.1141 0.7500
Th1 0.7826 0.5651 0.2500
Th2 0.2174 0.4349 0.7500

Energy relative to the elements (meV/atom): 130.4
Density of states at the Fermi level (states/eV per cell): 37.839
M_tot (μB/f.u.): 0.00
Calculated volume (Å³/cell): 767.41
Symmetry: Cmcm, No. 63
Calculated density (g/cm3): 7.3

* * * * *

A.
## Sr2YPt (PBE)

Data for a geometry-optimized Sr2YPt structure.

Properties
D(E_F), states/eV/f.u.: 3.80
Magnetization, Bohr magnetons per cell: 0.00
Density, Mg/m³: 5.18

Cell: 9.419 9.419 9.419 Å, 157.08 153.05 35.66°
Positions (direct):
Sr 0.158 0.158 0.000
Sr 0.842 0.842 0.000
Y 0.500 0.000 0.500
Pt 0.000 0.500 0.500

***

B.
## Sr2YPt (PBE)

Data for a geometry-optimized Sr2YPt structure.

Properties
D(E_F), states/eV/f.u.: 4.92
Magnetization, Bohr magnetons per cell: 0.01
Density, Mg/m³: 6.29

Cell: 6.333 6.333 6.333 Å, 135.91 135.91 64.12°
Positions (direct):
Sr 0.000 0.000 0.000
Sr 0.750 0.250 0.500
Y 0.250 0.750 0.500
Pt 0.500 0.500 0.000

***

C.
## Sr2YPt (PBE)

Data for a geometry-optimized Sr2YPt structure.

Properties
D(E_F), states/eV/f.u.: 3.17
Magnetization, Bohr magnetons per cell: 0.88
Density, Mg/m³: 5.18

Cell: 10.694 10.694 10.694 Å, 21.75 21.75 21.75°
Positions (direct):
Sr 0.226 0.226 0.226
Sr 0.774 0.774 0.774
Y 0.000 0.000 0.000
Pt 0.500 0.500 0.500

***

Energies, relative to the best one, in eV/atom: A 0.000; B 0.442; C 0.228.

***

A.
## Sr2YPt (PBE)

Data for a geometry-optimized Sr2YPt structure.

Properties
D(E_F), states/eV/f.u.: 4.08
Magnetization, Bohr magnetons per cell: 0.00
Density, Mg/m³: 6.52

Cell: 6.470 6.470 6.470 Å, 138.66 138.66 59.89°
Positions (direct):
Sr 0.250 0.750 0.500
Sr 0.750 0.250 0.500
Y 0.000 0.000 0.000
Pt 0.500 0.500 0.000

***

B.
## Sr2YPt (PBE)

Data for a geometry-optimized Sr2YPt structure.

Properties
D(E_F), states/eV/f.u.: 3.62
Magnetization, Bohr magnetons per cell: 0.38
Density, Mg/m³: 5.71

Cell: 3.723 3.723 9.634 Å, 90.00 90.00 90.00°
Positions (direct):
Sr 0.000 0.000 0.184
Sr 0.000 0.000 0.816
Y 0.500 0.500 0.500
Pt 0.500 0.500 0.000

***

Energies, relative to the best one, in eV/atom: A 0.208; B 0.000.

***

A.
## Sr2YPt (PBE)

Data for a geometry-optimized Sr2YPt structure.

Properties
D(E_F), states/eV/f.u.: 4.59
Magnetization, Bohr magnetons per cell: 0.00
Density, Mg/m³: 6.68
- - -

This task transformed the original dataset into a privacy-compliant version, enhancing its suitability for research, development, and testing, all while adhering to privacy and data protection regulations. The dataset’s sensitive information was effectively anonymized, reducing the risk of any inadvertent disclosure.

Project Outcomes:

The application of deep learning for face and license plate blurring in the dataset resulted in an enhanced and privacy-respecting dataset. This transformed dataset is now instrumental in various research and development efforts, without compromising the privacy or security of individuals.

• Calculated crystals, as found in the file:
-- begin --
(1)
VASP calculation (PBE) on crystalline Ba8AlAg2 at its relaxed geometry.

The structure belongs to space group Cm (No. 8); the cell edges are 10.283, 15.259 and 7.333 Å and the angles 90.00°, 108.13° and 90.00°. The asymmetric unit holds Ba at (0.000, 0.000, 0.000), Ba at (0.058, 0.370, 0.778), Ba at (0.144, 0.134, 0.565), Ba at (0.204, 0.500, 0.376), Ba at (0.344, 0.212, 0.181), Al at (0.354, 0.000, 0.389) and Ag at (0.354, 0.314, 0.685).

For the formation energy, the calculation gives -0.04 eV/atom. The density comes out at 4.07 g/cm³. As for the energy: -2.300 eV/atom.

(2)
VASP calculation (PBE) on crystalline BaAl2Ag6 at its relaxed geometry.

The structure belongs to space group Fd-3m (No. 227, origin choice 2); the cell edges are 12.285, 12.285 and 12.285 Å and the angles 90.00°, 90.00° and 90.00°. The asymmetric unit holds Ba at (0.125, 0.125, 0.125), Al at (0.000, 0.000, 0.500) and Ag at (0.108, 0.375, 0.875).

For the formation energy, the calculation gives 0.18 eV/atom. The density comes out at 6.01 g/cm³. As for the energy: -2.763 eV/atom.

(3)
VASP calculation (PBE) on crystalline BaAl4Ag at its relaxed geometry.

The structure belongs to space group F-43m (No. 216); the cell edges are 8.163, 8.163 and 8.163 Å and the angles 90.00°, 90.00° and 90.00°. The asymmetric unit holds Ba at (0.000, 0.000, 0.000), Al at (0.126, 0.126, 0.374) and Ag at (0.250, 0.250, 0.750).

For the formation energy, the calculation gives 0.08 eV/atom. The density comes out at 4.31 g/cm³. As for the energy: -3.211 eV/atom.

(4)
VASP calculation (PBE) on crystalline BaAl2Ag5 at its relaxed geometry.

The structure belongs to space group Immm (No. 71); the cell edges are 4.411, 7.483 and 10.782 Å and the angles 90.00°, 90.00° and 90.00°. The asymmetric unit holds Ba at (0.000, 0.000, 0.000), Al at (0.000, 0.500, 0.241), Ag at (0.000, 0.188, 0.351) and Ag at (0.000, 0.500, 0.000).

For the formation energy, the calculation gives -0.12 eV/atom. The density comes out at 6.82 g/cm³. As for the energy: -3.077 eV/atom.

(5)
VASP calculation (PBE) on crystalline BaAlAg3 at its relaxed geometry.

The structure belongs to space group Cmcm (No. 63); the cell edges are 6.703, 12.847 and 5.534 Å and the angles 90.00°, 90.00° and 90.00°. The asymmetric unit holds Ba at (0.000, 0.110, 0.250), Al at (0.000, 0.500, 0.000), Ag at (0.000, 0.312, 0.750) and Ag at (0.218, 0.355, 0.250).

For the formation energy, the calculation gives -0.18 eV/atom. The density comes out at 6.80 g/cm³. For the excess energy over the best structure of this formula in the dataset, the calculation gives 0 kJ/mol of formula units. As for the energy: -3.020 eV/atom.

(6)
VASP calculation (PBE) on crystalline BaAlAg2 at its relaxed geometry.
-- stop --

In summary, this project embodies our unwavering commitment to responsible data handling, privacy preservation, and ethical AI development. By applying deep learning techniques to automate face and license plate blurring, we ensure that our work in the realm of autonomous systems and computer vision respects the sanctity of individual identities and aligns with the highest standards of data ethics. This project exemplifies our dedication to advancing technology while upholding the principles of responsible and ethical data usage.

  class="img-fluid rounded z-depth-1"  
  title="General 3D object detection visualization" 
  onerror="this.onerror=null; $('.responsive-img-srcset').remove();"




